(Assignment)
Now restate only the lines further below with the word "CsSe3I" in them.

(Contents)
=====
Entry 1:
The following is a DFT calculation (GGA-PBE) of an optimized crystal structure of PaTlNO.

Calculated values
- space-group type = No. 29
- VASP energy (eV for the cell shown) = -116.26
- total magnetization (μB/cell) = 4.0

Cell: 5.982 8.661 5.954 Å, 90.00 90.00 90.00°
Fractional positions:
N (0.248, 0.002, 0.211)
N (0.748, 0.998, 0.211)
N (0.252, 0.002, 0.711)
N (0.752, 0.998, 0.711)
O (0.085, 0.367, 0.048)
O (0.585, 0.633, 0.048)
O (0.415, 0.367, 0.548)
O (0.915, 0.633, 0.548)
Pa (0.497, 0.121, 0.467)
Pa (0.997, 0.879, 0.467)
Pa (0.003, 0.121, 0.967)
Pa (0.503, 0.879, 0.967)
Tl (0.993, 0.366, 0.476)
Tl (0.493, 0.634, 0.476)
Tl (0.507, 0.366, 0.976)
Tl (0.007, 0.634, 0.976)


Entry 2:
The following is a DFT calculation (GGA-PBE) of an optimized crystal structure of PaTlNO.

Calculated values
- space-group type = No. 129
- VASP energy (eV for the cell shown) = -54.93
- total magnetization (μB/cell) = 2.2

Cell: 5.214 5.214 4.925 Å, 90.00 90.00 90.00°
Fractional positions:
N (0.000, 0.500, 0.487)
N (0.500, 0.000, 0.513)
O (0.000, 0.000, 0.000)
O (0.500, 0.500, 0.000)
Pa (0.000, 0.000, 0.500)
Pa (0.500, 0.500, 0.500)
Tl (0.500, 0.000, 0.008)
Tl (0.000, 0.500, 0.992)

=====

No. 1
Material: Cs2SbI
Method: DFT, meta-GGA SCAN
State: PBEsol geometry

Cell: 8.066 8.066 8.066 Å, 101.34 101.34 127.35°
Atoms (fractional coordinates):
Cs1 0.115 0.125 0.490
Cs2 0.375 0.885 0.010
Cs3 0.635 0.625 0.510
Cs4 0.875 0.365 0.990
Sb1 0.250 0.750 0.500
Sb2 0.500 0.500 0.000
I1 0.000 0.000 0.000
I2 0.750 0.250 0.500

## Properties
SG   I-42d
E   -37.964 eV/atom
Energy relative to the elements, uncorrected   -0.5578 eV/atom
D(E_F)   3.90 states/eV/f.u.



No. 2
Material: CsSnSb2I
Method: DFT, meta-GGA SCAN
State: PBEsol geometry

Cell: 5.976 5.976 6.431 Å, 90.00 90.00 90.00°
Atoms (fractional coordinates):
Cs1 0.000 0.000 0.000
Sn1 0.500 0.500 0.500
Sb1 0.000 0.500 0.000
Sb2 0.500 0.000 0.000
I1 0.000 0.000 0.500

## Properties
SG   P4/mmm
E   -35.804 eV/atom
Energy relative to the elements, uncorrected   1.1946 eV/atom
D(E_F)   3.47 states/eV/f.u.



No. 3
Material: Cs2TlSbI6
Method: DFT, meta-GGA SCAN
State: PBEsol geometry

Cell: 8.734 8.734 8.734 Å, 60.00 60.00 60.00°
Atoms (fractional coordinates):
Cs1 0.250 0.250 0.250
Cs2 0.750 0.750 0.750
Tl1 0.000 0.000 0.000
Sb1 0.500 0.500 0.500
I1 0.259 0.259 0.741
I2 0.259 0.741 0.259
I3 0.259 0.741 0.741
I4 0.741 0.259 0.259
I5 0.741 0.259 0.741
I6 0.741 0.741 0.259

## Properties
SG   Fm-3m
E   -41.534 eV/atom
Energy relative to the elements, uncorrected   -0.9650 eV/atom



No. 4
Material: CsZnSbI2
Method: DFT, meta-GGA SCAN
State: PBEsol geometry

Cell: 7.048 7.048 7.768 Å, 90.00 90.00 90.00°
Atoms (fractional coordinates):
Cs1 0.000 0.000 0.000
Zn1 0.500 0.500 0.500
Sb1 0.000 0.000 0.500
I1 0.000 0.500 0.000
I2 0.500 0.000 0.000

## Properties
Energy relative to the lowest polymorph listed for this composition   923 meV per atom
SG   P4/mmm
E   -31.936 eV/atom
Energy relative to the elements, uncorrected   0.4784 eV/atom
D(E_F)   7.66 states/eV/f.u.



No. 5
Material: CsZnSbI2
Method: DFT, meta-GGA SCAN
State: PBEsol geometry

Cell: 5.972 5.972 5.124 Å, 90.00 90.00 90.00°
Atoms (fractional coordinates):
Cs1 0.000 0.000 0.000
Zn1 0.500 0.500 0.500
Sb1 0.500 0.500 0.000
I1 0.000 0.500 0.500
I2 0.500 0.000 0.500

## Properties
Energy relative to the lowest polymorph listed for this composition   0 meV per atom
SG   P4/mmm
E   -32.858 eV/atom
Energy relative to the elements, uncorrected   -0.4442 eV/atom
D(E_F)   1.86 states/eV/f.u.



No. 6
Material: CsSc3I
Method: DFT, meta-GGA SCAN
State: PBEsol geometry

Cell: 5.310 5.310 5.310 Å, 90.00 90.00 90.00°
Atoms (fractional coordinates):
Cs1 0.000 0.000 0.000
Sc1 0.000 0.000 0.500
Sc2 0.000 0.500 0.000
Sc3 0.500 0.000 0.000
I1 0.500 0.500 0.500

## Properties
SG   Pm-3m
E   -21.941 eV/atom
Energy relative to the elements, uncorrected   1.5121 eV/atom
D(E_F)   5.43 states/eV/f.u.



No. 7
Material: CsSe3I
Method: DFT, meta-GGA SCAN
=====

(Outcome)
Material: CsSe3I